File.
********
Record 1
DFT (wB97M-V/def2-TZVPD) results for a structure of composition C50H41Cl4IN5O4RbSTe at a distorted geometry.

Last column: Mulliken charge in e.
Element x y z (Å)
Rb 0.270 -0.096 0.119  0.040
Cl -3.354 5.386 -5.836  -0.306
C -3.201 4.603 -4.283  0.475
C -2.307 3.554 -4.130  -0.975
C -2.178 2.941 -2.903  0.374
Cl -1.038 1.635 -2.738  0.238
C -2.933 3.331 -1.746  -1.169
O -2.777 2.817 -0.611  0.082
C -3.851 4.397 -2.006  0.708
Cl -4.852 4.936 -0.688  -0.267
C -3.986 5.026 -3.226  -0.819
H -1.718 3.210 -4.969  0.495
H -4.692 5.835 -3.352  0.441
C -0.198 -2.689 7.914  -1.590
C -0.019 -2.302 6.466  0.200
C 0.956 -2.874 5.674  -0.870
C 1.164 -2.501 4.348  0.749
C 2.294 -3.184 3.692  -0.035
O 2.643 -4.308 4.041  -0.732
C 3.129 -2.488 2.657  0.639
C 3.905 -3.274 1.810  -0.546
C 4.757 -2.692 0.885  -0.362
C 4.833 -1.309 0.795  -0.591
C 4.086 -0.516 1.656  -0.608
C 3.248 -1.102 2.592  -0.214
C 0.299 -1.535 3.692  -0.620
O 0.416 -1.260 2.477  0.334
C -0.735 -0.953 4.543  1.110
C -0.837 -1.344 5.876  -0.786
C -1.662 0.082 4.054  0.244
N -1.622 0.593 2.881  -0.138
C -2.568 1.636 2.513  0.813
C -3.794 1.038 1.835  -1.668
Te -3.105 -0.226 0.228  -0.182
C -3.501 -1.917 1.476  0.472
C -4.801 -2.182 1.900  -0.509
C -5.057 -3.140 2.873  -0.685
C -4.006 -3.852 3.437  -0.525
C -2.712 -3.636 2.982  -0.349
C -2.465 -2.684 2.002  -0.434
C -2.694 0.548 5.051  -0.754
C -2.473 1.673 5.841  0.245
C -3.441 2.107 6.734  -0.801
C -4.649 1.430 6.836  -0.459
C -4.870 0.303 6.057  -0.807
C -3.900 -0.135 5.169  0.519
H 0.468 -3.513 8.173  0.389
H -1.226 -3.008 8.106  0.333
H 0.018 -1.849 8.581  0.312
H 1.625 -3.620 6.088  0.363
H 3.833 -4.350 1.895  0.392
H 5.365 -3.313 0.239  0.345
H 5.489 -0.848 0.066  0.411
H 4.170 0.561 1.603  0.501
H 2.701 -0.481 3.287  0.341
H -1.593 -0.890 6.503  0.503
H -2.071 2.272 1.777  -0.875
H -2.868 2.261 3.367  0.488
H -4.425 1.833 1.444  0.587
H -4.370 0.434 2.534  0.715
H -5.627 -1.623 1.469  0.388
H -6.076 -3.324 3.197  0.342
H -4.194 -4.565 4.232  0.349
H -1.888 -4.193 3.414  0.387
H -1.452 -2.512 1.663  0.560
H -1.530 2.201 5.756  0.476
H -3.258 2.981 7.348  0.384
H -5.412 1.778 7.522  0.339
H -5.807 -0.235 6.135  0.430
H -4.065 -1.022 4.566  0.224
Cl -0.514 -4.138 -6.691  -0.346
C -0.664 -3.420 -5.099  0.727
C -1.722 -3.786 -4.302  -0.615
C -1.862 -3.230 -3.040  0.049
I -3.480 -3.815 -1.823  -0.011
C -0.977 -2.278 -2.474  -0.812
O -1.114 -1.788 -1.325  0.015
C 0.135 -1.909 -3.356  -0.136
N 1.005 -0.996 -2.881  0.371
C 1.999 -0.593 -3.634  -0.550
C 2.229 -1.092 -4.926  -0.771
C 1.379 -2.038 -5.429  -0.959
C 0.282 -2.478 -4.657  0.155
H -2.444 -4.505 -4.662  0.407
H 2.649 0.165 -3.208  0.454
H 3.063 -0.730 -5.514  0.400
H 1.529 -2.455 -6.416  0.384
N 1.711 -3.714 -0.514  -0.743
H 0.959 -3.491 -1.158  0.350
H 2.113 -2.828 -0.228  0.175
H 1.274 -4.102 0.315  0.284
C -1.978 4.905 1.317  -1.247
C -0.815 4.644 0.427  0.898
C -0.715 5.112 -0.855  -0.486
C 0.402 4.718 -1.616  1.002
N 1.386 4.003 -1.109  -0.511
C 1.331 3.594 0.169  -0.403
S 2.591 2.813 0.924  -0.388
N 0.198 3.894 0.907  0.072
C 0.537 5.105 -3.053  -1.311
H -2.364 5.911 1.163  0.448
H -1.718 4.767 2.367  0.483
H -2.773 4.200 1.068  -0.097
H -1.498 5.720 -1.282  0.404
H 0.138 3.478 1.826  0.298
H -0.321 5.680 -3.394  0.274
H 0.622 4.195 -3.647  0.172
H 1.454 5.678 -3.196  0.505

Cartesian forces (eV/Å) of the 3 atoms listed first:
Rb 0.6 0.4 0.2
Cl 0.0 0.1 -0.2
C 0.0 0.0 0.0

Calculated values
- charge = -2
- frontier orbital gap (Eh) = 0.2277
- HOMO energy (eV) = -2.6475

Record 2
DFT (wB97M-V/def2-TZVPD) results for a structure of composition C50H41F6N6OS3Zr.

Last column: Mulliken charge in e.
Element x y z (Å)
Zr 0.102 -0.162 0.060  1.475
N 2.039 0.494 0.215  0.381
S 3.410 0.535 0.771  0.586
N 3.560 1.134 2.269  0.042
S 3.335 0.300 3.564  1.324
N 2.091 -0.629 3.676  0.300
S 0.547 -0.222 3.436  0.971
N 0.007 -0.420 2.069  0.075
C 0.313 1.446 3.994  0.658
C 0.134 1.716 5.345  -0.342
C -0.038 3.033 5.741  -0.926
C -0.030 4.052 4.797  -0.836
********
Request.
Please print everything further up unchanged.
Here it is.
Record 1
DFT (wB97M-V/def2-TZVPD) results for a structure of composition C50H41Cl4IN5O4RbSTe at a distorted geometry.

Last column: Mulliken charge in e.
Element x y z (Å)
Rb 0.270 -0.096 0.119  0.040
Cl -3.354 5.386 -5.836  -0.306
C -3.201 4.603 -4.283  0.475
C -2.307 3.554 -4.130  -0.975
C -2.178 2.941 -2.903  0.374
Cl -1.038 1.635 -2.738  0.238
C -2.933 3.331 -1.746  -1.169
O -2.777 2.817 -0.611  0.082
C -3.851 4.397 -2.006  0.708
Cl -4.852 4.936 -0.688  -0.267
C -3.986 5.026 -3.226  -0.819
H -1.718 3.210 -4.969  0.495
H -4.692 5.835 -3.352  0.441
C -0.198 -2.689 7.914  -1.590
C -0.019 -2.302 6.466  0.200
C 0.956 -2.874 5.674  -0.870
C 1.164 -2.501 4.348  0.749
C 2.294 -3.184 3.692  -0.035
O 2.643 -4.308 4.041  -0.732
C 3.129 -2.488 2.657  0.639
C 3.905 -3.274 1.810  -0.546
C 4.757 -2.692 0.885  -0.362
C 4.833 -1.309 0.795  -0.591
C 4.086 -0.516 1.656  -0.608
C 3.248 -1.102 2.592  -0.214
C 0.299 -1.535 3.692  -0.620
O 0.416 -1.260 2.477  0.334
C -0.735 -0.953 4.543  1.110
C -0.837 -1.344 5.876  -0.786
C -1.662 0.082 4.054  0.244
N -1.622 0.593 2.881  -0.138
C -2.568 1.636 2.513  0.813
C -3.794 1.038 1.835  -1.668
Te -3.105 -0.226 0.228  -0.182
C -3.501 -1.917 1.476  0.472
C -4.801 -2.182 1.900  -0.509
C -5.057 -3.140 2.873  -0.685
C -4.006 -3.852 3.437  -0.525
C -2.712 -3.636 2.982  -0.349
C -2.465 -2.684 2.002  -0.434
C -2.694 0.548 5.051  -0.754
C -2.473 1.673 5.841  0.245
C -3.441 2.107 6.734  -0.801
C -4.649 1.430 6.836  -0.459
C -4.870 0.303 6.057  -0.807
C -3.900 -0.135 5.169  0.519
H 0.468 -3.513 8.173  0.389
H -1.226 -3.008 8.106  0.333
H 0.018 -1.849 8.581  0.312
H 1.625 -3.620 6.088  0.363
H 3.833 -4.350 1.895  0.392
H 5.365 -3.313 0.239  0.345
H 5.489 -0.848 0.066  0.411
H 4.170 0.561 1.603  0.501
H 2.701 -0.481 3.287  0.341
H -1.593 -0.890 6.503  0.503
H -2.071 2.272 1.777  -0.875
H -2.868 2.261 3.367  0.488
H -4.425 1.833 1.444  0.587
H -4.370 0.434 2.534  0.715
H -5.627 -1.623 1.469  0.388
H -6.076 -3.324 3.197  0.342
H -4.194 -4.565 4.232  0.349
H -1.888 -4.193 3.414  0.387
H -1.452 -2.512 1.663  0.560
H -1.530 2.201 5.756  0.476
H -3.258 2.981 7.348  0.384
H -5.412 1.778 7.522  0.339
H -5.807 -0.235 6.135  0.430
H -4.065 -1.022 4.566  0.224
Cl -0.514 -4.138 -6.691  -0.346
C -0.664 -3.420 -5.099  0.727
C -1.722 -3.786 -4.302  -0.615
C -1.862 -3.230 -3.040  0.049
I -3.480 -3.815 -1.823  -0.011
C -0.977 -2.278 -2.474  -0.812
O -1.114 -1.788 -1.325  0.015
C 0.135 -1.909 -3.356  -0.136
N 1.005 -0.996 -2.881  0.371
C 1.999 -0.593 -3.634  -0.550
C 2.229 -1.092 -4.926  -0.771
C 1.379 -2.038 -5.429  -0.959
C 0.282 -2.478 -4.657  0.155
H -2.444 -4.505 -4.662  0.407
H 2.649 0.165 -3.208  0.454
H 3.063 -0.730 -5.514  0.400
H 1.529 -2.455 -6.416  0.384
N 1.711 -3.714 -0.514  -0.743
H 0.959 -3.491 -1.158  0.350
H 2.113 -2.828 -0.228  0.175
H 1.274 -4.102 0.315  0.284
C -1.978 4.905 1.317  -1.247
C -0.815 4.644 0.427  0.898
C -0.715 5.112 -0.855  -0.486
C 0.402 4.718 -1.616  1.002
N 1.386 4.003 -1.109  -0.511
C 1.331 3.594 0.169  -0.403
S 2.591 2.813 0.924  -0.388
N 0.198 3.894 0.907  0.072
C 0.537 5.105 -3.053  -1.311
H -2.364 5.911 1.163  0.448
H -1.718 4.767 2.367  0.483
H -2.773 4.200 1.068  -0.097
H -1.498 5.720 -1.282  0.404
H 0.138 3.478 1.826  0.298
H -0.321 5.680 -3.394  0.274
H 0.622 4.195 -3.647  0.172
H 1.454 5.678 -3.196  0.505

Cartesian forces (eV/Å) of the 3 atoms listed first:
Rb 0.6 0.4 0.2
Cl 0.0 0.1 -0.2
C 0.0 0.0 0.0

Calculated values
- charge = -2
- frontier orbital gap (Eh) = 0.2277
- HOMO energy (eV) = -2.6475

Record 2
DFT (wB97M-V/def2-TZVPD) results for a structure of composition C50H41F6N6OS3Zr.

Last column: Mulliken charge in e.
Element x y z (Å)
Zr 0.102 -0.162 0.060  1.475
N 2.039 0.494 0.215  0.381
S 3.410 0.535 0.771  0.586
N 3.560 1.134 2.269  0.042
S 3.335 0.300 3.564  1.324
N 2.091 -0.629 3.676  0.300
S 0.547 -0.222 3.436  0.971
N 0.007 -0.420 2.069  0.075
C 0.313 1.446 3.994  0.658
C 0.134 1.716 5.345  -0.342
C -0.038 3.033 5.741  -0.926
C -0.030 4.052 4.797  -0.836